15 May 2018: Top experts in biodiversity evaluated progress towards the Sustainable Development Goal on life on land (SDG 15) and discussed ways to protect and restore biodiversity, in the lead up to the July 2018 session of the High-level Political Forum on Sustainable Development (HLPF). SDG 15 is one of the six Goals for which governments will conduct an in-depth review at the HLPF.

The two-day Expert Group Meeting took place from 14-15 May 2018, at UN Headquarters in New York, US. The event was convened by the UN Department of Economic and Social Affairs (DESA), and featured in-depth discussions on forests, biodiversity, custodians of the terrestrial ecosystems, wildlife poaching and trafficking, mountains, land and soil, and means of implementation (MOI).

Amy Fraenkel, UN Convention on Biological Diversity (CBD), observed that while all the custodians of other SDGs try to project each Goal as “essential for the achievement of the other ones,” biodiversity is “clearly the linchpin between all of them.” She explained that without biodiversity, we would not exist, let alone develop. Over the two days of exchange, participants often noted the need for:

  • raising the profile of biodiversity and SDG 15 in political discussions across the board;
  • mainstreaming biodiversity in all sectors and across sectors;
  • policy coherence and integration among all relevant sectors and actors;
  • protecting customary land rights and securing land tenure for local populations;
  • community-based management and participatory approaches, in which indigenous peoples and local communities are co-designers;
  • gender mainstreaming in all policies and programmes; and
  • cross-sectoral, cross-departmental, and multi-stakeholder collaboration, including through partnerships.

The experts also called for an increase in efforts that address the drivers of biodiversity loss – efforts that increase agricultural production on existing land, reduce waste, enhance sustainable trade, and change diets towards less meat consumption. Some observed the SDG 15 targets that “expire” in 2020, noting that their replacement could provide an opportunity to create a more unified agenda that halts biodiversity loss by 2030.

Opening the meeting, Eliot Harris, Chief Economist, DESA, underscored the need for evidence-based knowledge to understand the interlinkages between goals and targets and to connect them with action. These interlinkages, he said, should inform priority setting through evaluation of their impacts. However, he cautioned that prioritization needs to be informed by national and local circumstances. Harris also called for adjusting governance structures to build on the interlinkages between goals, and for designing incentives to overcome systemic inertia.

Cristiana Pasca Palmer, CBD Executive Secretary, stressed the need to harness the power of new technologies for biodiversity and to use them to ensure the conservation and sustainable use of nature. Noting that technologies have the potential to transform the way we approach ecosystem restoration, she gave the example of companies that usee drones to determine what species are needed and where, in order to reforest, replant, and restore ecosystems. She also noted the potential of natural technologies to enable countries to fuse nature with technology and build infrastructure with enhanced resilience to climate change. She gave the example of two “sponge” cities in China built on natural infrastructure that confers flood control, water conservation and ecosystem protection.

Tom Brooks, International Union for Conservation of Nature (IUCN), noted that, where the SDG targets are related to conservation and actions, the current indicators show progress, while indicators on the state of nature (such as the Red List Index) show a decline. Brooks encouraged better harnessing of multi-purpose indicators that address multiple targets. He also cautioned about trade-offs between the SDGs, emphasizing that “both agriculture and nature need space to take place.”

Noting that the Living Planet Index shows a 58% decline in vertebrate species between 1970 and 2012, Deon Nel, World Wildlife Fund (WWF), said it is still physically possible to reverse biodiversity decline even though the world population will reach 8.6 billion by 2030, 9.8 billion by 2050, and 11.2 billion by 2100. Cristian Samper, President and CEO, Wildlife Conservation Society, gave the example of the tiger population in India, which grew by 276% from 2006 to 2016, while Malan Lindeque, Ministry of Environment and Tourism, Namibia, said Namibia is moving some of its rhino population from protected areas to communal areas because the rhino population is doing very well. Maria Rivera, Ramsar Convention on Wetlands, cautioned that 76% of wetland species are threatened.

Pierre Boileau, UN Environment, noted that the lack of appropriate regulations and increased populations close to protected areas, especially in conflict-affected zones, are triggers of both poaching and broader biodiversity loss. Samuel Kasiki, Kenya Wildlife Service, identified challenges to wildlife conservation, including: inadequate optimal resources; corruption; human/ wildlife conflict; limited involvement of the private sector; invasive species; and climate change.

Midori Paxton, UN Development Programme (UNDP), said local communities are and need to be at the center of wildlife conservation. John Scanlon, former Secretary-General of CITES, explained that wildlife agencies are not well-equipped to deal with transnational wildlife crime, thus specialized, well-resourced agencies are needed. He noted with concern that the UN Convention on Corruption does not mention illegal trade in wildlife.

Observing that 30-40% of the world’s food-insecure people live in mountains, Andrew Taber, former Executive Director, The Mountain Institute, emphasized the need for business approaches for high mountain conservation.

- - -
[1]
Entry from the Alexandria database: AlRe2As at its PBEsol-relaxed geometry (meta-GGA SCAN).

a = 2.978 Å, b = 4.788 Å, c = 5.033 Å
α = 118.40°, β = 107.21°, γ = 90.00°
Fractional coordinates of all 4 atoms:
1 As 0.500 0.000 0.000
2 Re 0.770 0.770 0.540
3 Al 0.000 0.500 0.000
4 Re 0.230 0.230 0.460

Output
* offset from the most stable computed form: 0.139 eV/atom
* energy of formation: 0.27 eV per atom
* density: 13.2 g cm⁻³


[2]
Entry from the Alexandria database: Al3ReAs at its PBEsol-relaxed geometry (meta-GGA SCAN).

a = 4.738 Å, b = 4.738 Å, c = 4.738 Å
α = 90.00°, β = 90.00°, γ = 90.00°
Fractional coordinates of all 5 atoms:
1 Al 0.500 0.000 0.000
2 Re 0.000 0.000 0.000
3 As 0.500 0.500 0.500
4 Al 0.000 0.500 0.000
5 Al 0.000 0.000 0.500

Output
* energy of formation: 0.65 eV per atom
* density: 5.3 g cm⁻³


[3]
Entry from the Alexandria database: AlReAsSe2 at its PBEsol-relaxed geometry (meta-GGA SCAN).

a = 4.761 Å, b = 4.895 Å, c = 4.895 Å
α = 90.00°, β = 90.00°, γ = 90.00°
Fractional coordinates of all 5 atoms:
1 Al 0.500 0.500 0.500
2 Se 0.000 0.000 0.500
3 Se 0.000 0.500 0.000
4 Re 0.000 0.000 0.000
5 As 0.500 0.000 0.000

Output
* uncorrected formation energy: 0.67 eV/atom
* density: 6.5 g cm⁻³


[4]
Entry from the Alexandria database: Al2AsRh at its PBEsol-relaxed geometry (meta-GGA SCAN).

a = 3.436 Å, b = 3.999 Å, c = 4.864 Å
α = 90.00°, β = 110.68°, γ = 90.00°
Fractional coordinates of all 4 atoms:
1 As 0.834 0.000 0.668
2 Al 0.396 0.500 0.791
3 Rh 0.671 0.500 0.342
4 Al 0.105 0.000 0.211

Output
* energy of formation: -0.52 eV per atom
* density: 6.2 g cm⁻³


[5]
Entry from the Alexandria database: Al2AsRh at its PBEsol-relaxed geometry (meta-GGA SCAN).

a = 3.249 Å, b = 3.299 Å, c = 5.491 Å
α = 90.00°, β = 90.00°, γ = 90.00°
Fractional coordinates of all 4 atoms:
1 Al 0.000 0.000 0.745
2 Al 0.000 0.000 0.255
3 As 0.500 0.500 0.000
4 Rh 0.500 0.500 0.500

Output
* energy of formation: -0.48 eV per atom
* density: 6.5 g cm⁻³


[6]
Entry from the Alexandria database: AlAsRh2 at its PBEsol-relaxed geometry (meta-GGA SCAN).

a = 3.290 Å, b = 3.627 Å, c = 5.478 Å
α = 109.33°, β = 107.47°, γ = 90.00°
Fractional coordinates of all 4 atoms:
1 Al 0.466 0.466 0.932
2 Rh 0.037 0.037 0.073
3 As 0.718 0.218 0.436
4 Rh 0.280 0.780 0.559

Output
* energy of formation: -0.67 eV per atom
* density: 8.7 g cm⁻³


[7]
Entry from the Alexandria database: Al2AsRh at its PBEsol-relaxed geometry (meta-GGA SCAN).

a = 2.897 Å, b = 4.540 Å, c = 5.050 Å
α = 104.29°, β = 106.67°, γ = 90.00°
- - -
Back to the article.

Deborah Bossio, The Nature Conservancy, said it would be difficult to achieve many of the SDGs without addressing land degradation. She explained that by restoring soils’ organic matter and thus their CO2 sequestration capacity, countries can make contributions to addressing climate change, but only eight National Determined Contributions (NDCs) mention soil. Dan Pennock, Member of the Global Soil Partnership (GSP) Intergovernmental Technical Panel on Soils, added that the soil organic matter stores rain water and increases the resilience of agricultural systems to shocks, thus directly contributing to SDG 2 (zero hunger).

Gertrude Kabusimbi Kenyangi, Executive Director, Support for Women in Agriculture and Environment, Uganda, said SDG implementation needs to recognize indigenous peoples and local communities who are the custodians of terrestrial ecosystems as the rights holders for those ecosystems and not as simple “stakeholders.” She called for respect for traditional knowledge and for market-based mechanisms such as REDD+ to be people-centered. Joji Carino, Forest Peoples Programme, the Philippines, underscored the need to recognize the link between cultural diversity and biological diversity. In many cases, she cautioned, there is more focus, research and knowledge on endangered species than on the local communities and indigenous peoples who are their custodians. She added that biological and cultural diversity together increase resilience to social, environmental, and climate changes. Mirna Ines Fernandez, Global Youth Biodiversity Network, said including anthropologists and communications specialists in project teams is essential for local communities’ acquirement of conservation knowledge.

Nel noted that countries should report their environmental footprint with regards to trade and investment. Samper invited a focus on the interlinkages between urbanization, conservation, and production systems. Eva Mueller, Food and Agriculture Organization of the UN (FAO), recommended intensifying commodity production in place rather than extending the area of production at the expense of forests and biodiversity. Juha Siikamak, IUCN, called for making ecosystem valuation tangible by bringing it at the individual level.

Bob Watson, Chair, Intergovernmental Science-Policy Platform on Biodiversity and Ecosystem Services (IPBES), recommended applying combinations of regulations, financial incentives, and behavioral change. Francesca Perucci, UN Statistics Division, said data needs to be communicated to policymakers in a relevant and understandable way. Steffen Dehn, International Forestry Students’ Association, stressed the need for supporting youth engagement in innovation for biodiversity. Fraenkel pointed out that the fifteenth meeting of the Conference of the Parties (COP 15) to the CBD in 2020 presents an opportunity to adopt a unified, strong agenda for biodiversity and SDGs, by 2030.

Delivering closing remarks, Marion Barthelemy, DESA, explained that each of the SDGs under review will have a dedicated three-hour session during the first week of the July 2018 HLPF meeting. She said the session on SDG 15, which is scheduled for 13 July, will provide an opportunity to address the interlinkages of SDG 15 with other SDGs, such as gender (SDG 5), water (SDG 6), food (SDG 2) and climate change (SDG 13). She noted that outcomes of the Expert Group Meeting on SDG 15 will set the foundation for the thematic review of SDG 15 and will contribute to the ministerial declaration to be adopted by the HLPF. [Event Website] [Event Programme] [Concept Note] [Background Note] [HLPF Website] [SDG Knowledge Hub sources]